Exercise =
Search the entries below for the word "Dy" and echo each line that has it.

Material =
VASP calculation (PBE-GGA) on crystalline DyErTe at its relaxed geometry.

a = 8.1949 Å, b = 3.9334 Å, c = 10.5545 Å
α = 90.00°, β = 90.00°, γ = 90.00°
Closest atoms and distances in Å follow each position.
Space group Pnma (No. 62)
Unique sites:
Dy1 0.0030 0.2500 0.1600 [4 per cell]  4 Te 3.13-3.15
Er1 0.1556 0.2500 0.5553 [4 per cell]  4 Te 3.11-3.18, 2 Er 3.43
Te1 0.2033 0.7500 0.3306 [4 per cell]  4 Er 3.11-3.18, 4 Dy 3.13-3.15

## Properties
Excess energy over the best structure of this formula in the dataset = 0 meV/atom

---

VASP calculation (PBE-GGA) on crystalline ZrReSe2 at its relaxed geometry.

a = 4.1392 Å, b = 4.1392 Å, c = 8.3845 Å
α = 90.00°, β = 90.00°, γ = 90.00°
Closest atoms and distances in Å follow each position.
Space group I-4m2 (No. 119)
Unique sites:
Zr1 0.0000 0.0000 0.0000 [2 per cell]  8 Se 2.93-2.95, 4 Re 2.95
Re1 0.0000 0.5000 0.7500 [2 per cell]  8 Se 2.93-2.95, 4 Zr 2.95
Se1 0.0000 0.0000 0.5000 [2 per cell]  4 Zr 2.93, 4 Se 2.95, 4 Re 2.95
Se2 0.0000 0.5000 0.2500 [2 per cell]  4 Re 2.93, 4 Zr 2.95, 4 Se 2.95

## Properties
Excess energy over the best structure of this formula in the dataset = 556 meV/atom

---

VASP calculation (PBE-GGA) on crystalline PaCu2Pd at its relaxed geometry.

a = 4.3111 Å, b = 9.2935 Å, c = 7.1600 Å
α = 90.00°, β = 90.00°, γ = 90.00°
Closest atoms and distances in Å follow each position.
Space group Cmcm (No. 63)
Unique sites:
Pa1 0.0000 0.0628 0.2500 [4 per cell]  3 Pd 2.76-2.92, 6 Cu 2.97-3.00
Cu1 0.0000 0.2534 0.5824 [8 per cell]  3 Cu 2.40-2.46, 1 Pd 2.64
Pd1 0.0000 0.3769 0.2500 [4 per cell]  6 Cu 2.64-2.75, 3 Pa 2.76-2.92

## Properties
Energy of formation = -0.074 eV/atom
Excess energy over the best structure of this formula in the dataset = 189 meV/atom

---

VASP calculation (PBE-GGA) on crystalline Na2PmAgI6 at its relaxed geometry.

a = 7.9588 Å, b = 7.9601 Å, c = 8.8775 Å
α = 90.06°, β = 116.57°, γ = 119.99°
Closest atoms and distances in Å follow each position.
Space group P1 (No. 1)
Unique sites:
Na1 0.0000 0.0000 0.0000 [1 per cell]  6 I 3.19-3.30
Na2 0.0317 0.5155 0.5468 [1 per cell]  6 I 3.18-3.38
Pm1 0.6412 0.3213 0.9618 [1 per cell]  6 I 3.03-3.23
Ag1 0.4783 0.7403 0.2169 [1 per cell]  3 I 2.79
I1 0.1321 0.4110 0.2403 [1 per cell]  1 Ag 2.79
I2 0.1710 0.2399 0.7573 [1 per cell]  1 Pm 3.04, 2 Na 3.18-3.19
I3 0.5175 0.9317 0.7577 [1 per cell]  1 Pm 3.03, 2 Na 3.18-3.19
I4 0.5188 0.1097 0.2410 [1 per cell]  1 Ag 2.79
I5 0.8244 0.5861 0.7562 [1 per cell]  1 Pm 3.04, 2 Na 3.19
I6 0.8307 0.7227 0.2407 [1 per cell]  1 Ag 2.79

## Properties
Energy = -3.055 eV per atom

---

VASP calculation (PBE-GGA) on crystalline La2MnP3Pt12 at its relaxed geometry.

a = 8.2196 Å, b = 8.2196 Å, c = 18.3390 Å
α = 90.00°, β = 90.00°, γ = 120.00°
Closest atoms and distances in Å follow each position.
Space group R-3m (No. 166, hexagonal axes)
Unique sites:
La1 0.0000 0.0000 0.1140 [6 per cell]  6 Pt 2.95-3.06
Mn1 0.0000 0.0000 0.5000 [3 per cell]  6 Pt 2.48
P1 0.0000 0.5000 0.0000 [9 per cell]  6 Pt 2.29-2.31
Pt1 0.0020 0.5010 0.1249 [18 per cell]  1 P 2.29, 1 Mn 2.48
Pt2 0.0371 0.5185 0.3622 [18 per cell]  2 P 2.31

## Properties
Energy of formation = -0.459 eV/atom

---

VASP calculation (PBE-GGA) on crystalline Tb3Ho4Tl at its relaxed geometry.

a = 11.1728 Å, b = 7.0177 Å, c = 6.1655 Å
α = 90.00°, β = 90.00°, γ = 90.00°
Closest atoms and distances in Å follow each position.
Space group Pmn2_1 (No. 31)
Unique sites:
Tb1 0.0000 0.1302 0.0000 [2 per cell]  6 Ho 3.34-3.72, 4 Tb 3.41-3.52, 2 Tl 3.47-3.68
Tb2 0.2402 0.1159 0.3417 [4 per cell]  2 Tl 3.37-3.52, 4 Tb 3.41-3.52, 6 Ho 3.45-3.68
Ho1 0.0000 0.3753 0.5351 [2 per cell]  4 Tb 3.34-3.72, 6 Ho 3.38-3.70, 2 Tl 3.49-3.53
Ho2 0.0000 0.6297 0.0087 [2 per cell]  6 Ho 3.42-3.70, 2 Tl 3.46-3.59, 4 Tb 3.51-3.56
Ho3 0.2393 0.6251 0.3598 [4 per cell]  1 Tl 3.34, 6 Ho 3.38-3.56, 5 Tb 3.45-3.68
Tl1 0.0000 0.8726 0.5203 [2 per cell]  6 Ho 3.34-3.59, 6 Tb 3.37-3.68

## Properties
Energy of formation = -0.073 eV/atom

Done =
Te1 0.2033 0.7500 0.3306 [4 per cell]  4 Er 3.11-3.18, 4 Dy 3.13-3.15